To do
Next, say how many lines of the material further down hold the word "unconnected", as a bare number.
Entries
┌──
2 unconnected molecules or ions with the total composition C4H7NO2S. Source: the Open Molecules 2025 dataset; level of theory: ωB97M-V/def2-TZVPD.

ORCA input file:
```
! wB97M-V def2-TZVPD RIJCOSX def2/J DEFGRID3
* xyz 0 1
C -0.92 1.90 1.48
C -0.10 -0.02 0.26
C 1.13 -0.48 -0.31
C 1.18 -1.33 -1.45
H -1.31 1.25 2.27
H -0.62 3.01 1.83
H -1.73 2.17 0.95
H -1.43 -1.48 -0.33
H -2.27 0.75 0.25
H 2.02 0.04 -0.04
H 2.72 -2.39 -2.36
N -1.24 -0.84 0.46
O 0.15 1.20 0.88
O 2.46 -1.62 -1.70
S -0.02 -2.17 -2.19
*
```

Calculated values
└──
Here it is
1